........
VASP calculation (PBE) on a relaxed structure of B3PtF.

Cell: 3.6782 3.6782 3.6782 Å, 90.00 90.00 90.00°
Fractional positions:
B 0.0000 0.5000 0.0000
B 0.0000 0.0000 0.5000
B 0.5000 0.0000 0.0000
Pt 0.5000 0.5000 0.5000
F 0.0000 0.0000 0.0000

Crystal system: cubic
Energy, eV/atom: -3.953
M_tot, μB/cell: 0.000
Calculated density, Mg/m³: 8.23
Offset from the most stable computed form, meV per atom: 1190.1
Fermi-level density of states, states/eV per cell: 2.4
E_form (uncorrected), eV per formula unit: 8.181


1.
ZnNiPd: relaxed, PBE.

Cell: 2.6882 4.1632 4.1632 Å, 120.00 90.00 90.00°
Positions (direct):
Ni 0.4181 0.3333 0.6667
Pd 0.9921 0.0000 0.0000
Zn 0.5898 0.6667 0.3333

Calculated values
DFT total energy ... -12.80 eV per cell
Volume ... 40 Å³/cell
Formation energy ... -0.1826 eV/atom

---

2.
Zn4Ni3Pd: relaxed, PBE.

Cell: 4.1602 4.1602 7.2299 Å, 73.28 73.28 60.00°
Positions (direct):
Zn 0.1280 0.1280 0.6161
Zn 0.6213 0.6213 0.1361
Ni 0.2495 0.2495 0.2515
Zn 0.8720 0.8720 0.3839
Pd 0.0000 0.0000 0.0000
Zn 0.3787 0.3787 0.8639
Ni 0.5000 0.5000 0.5000
Ni 0.7505 0.7505 0.7485

Calculated values
DFT total energy ... -29.95 eV per cell
Volume ... 102 Å³/cell
Formation energy ... -0.2898 eV/atom

---

3.
Zn2NiPd6: relaxed, PBE.

Cell: 4.0636 8.0416 8.0417 Å, 90.00 90.00 90.00°
Each line ends with the local moment (μB).
Positions (direct):
Zn 0.0000 0.3127 0.8128  -0.01
Ni 0.5000 0.5000 0.0000  0.62
Pd 0.0000 0.9829 0.8252  0.06
Pd 0.0000 0.6749 0.5171  0.06
Pd 0.5000 0.8615 0.3615  0.09
Pd 0.5000 0.1385 0.6385  0.09
Zn 0.5000 0.8128 0.6872  -0.01
Pd 0.0000 0.6385 0.8615  0.09
Pd 0.0000 0.0171 0.1748  0.06
Zn 0.0000 0.6873 0.1872  -0.01
Pd 0.0000 0.3615 0.1385  0.09
Pd 0.5000 0.5171 0.3251  0.06
Ni 0.0000 0.0000 0.5000  0.62
Pd 0.5000 0.8252 0.0171  0.06
Pd 0.5000 0.1748 0.9829  0.06
Pd 0.0000 0.3251 0.4829  0.06
Pd 0.5000 0.4829 0.6749  0.06
Zn 0.5000 0.1872 0.3128  -0.01

Calculated values
DFT total energy ... -84.12 eV per cell
Volume ... 263 Å³/cell
Formation energy ... -0.2857 eV/atom

---

Q: What is the formation energy in the second record?
A: -0.2898 eV/atom
........

Next, print the part of the calculation results further up that starts with the line with "Offset from" and stops after the one with "0.7505 0.7505".

Offset from the most stable computed form, meV per atom: 1190.1
Fermi-level density of states, states/eV per cell: 2.4
E_form (uncorrected), eV per formula unit: 8.181


1.
ZnNiPd: relaxed, PBE.

Cell: 2.6882 4.1632 4.1632 Å, 120.00 90.00 90.00°
Positions (direct):
Ni 0.4181 0.3333 0.6667
Pd 0.9921 0.0000 0.0000
Zn 0.5898 0.6667 0.3333

Calculated values
DFT total energy ... -12.80 eV per cell
Volume ... 40 Å³/cell
Formation energy ... -0.1826 eV/atom

---

2.
Zn4Ni3Pd: relaxed, PBE.

Cell: 4.1602 4.1602 7.2299 Å, 73.28 73.28 60.00°
Positions (direct):
Zn 0.1280 0.1280 0.6161
Zn 0.6213 0.6213 0.1361
Ni 0.2495 0.2495 0.2515
Zn 0.8720 0.8720 0.3839
Pd 0.0000 0.0000 0.0000
Zn 0.3787 0.3787 0.8639
Ni 0.5000 0.5000 0.5000
Ni 0.7505 0.7505 0.7485